Lesnovo Monastery
Lesnovo Monastery

By Anna Adashinskaya | New Europe College, Bucharest & The Institute of Oriental Studies of the Russian Academy of Sciences


The monastery of Lesnovo, presently located in the north of the Republic of North Macedonia, near the towns of Zletovo and Probištip, presumably dates to the end of the 11th or the beginning of the 12th century. One may associate its foundation with the name of St. Gabriel of Lesnovo (late 11th to 12th century), a prominent local ascetic belonging to the regional hermitic movement that encompassed also St. John of Rila, Venerable Prohor of Pćinja, and St. Joachim of Osogovo.

In 1331, the older monastery was completely renewed by sebastokrator (later despot) Jovan Oliver (c. 1310 – after 1356), who ruled over the region. During the Church Synod in Skopje in 1347, Tsar Stefan Dušan (r. king 1331–46, tsar until 1355) established in the monastery the seat of the newly-formed diocese of Zletovo. However, with the dissolution of the Serbian state in the 1350s, the bishopric lost its importance. By 1381, the foundation became the metochion of Hilandar Monastery of Mount Athos.

After the renovation of the walls and gates in the 1330s, dedicated to the Holy Archangel Michael, the katholikon was erected between 1340/41 and 1348 on the grounds of an earlier edifice. It consists of two spatial units constructed in two stages under the patronage of the same person, Serbian aristocrat Jovan Oliver. His sponsorship is attested by three dedicatory inscriptions written in Greek and Old Church Slavonic above the door leading from the narthex to the naos and above the southern entrance to the naos.


Both architectural divisions, the naos and the narthex, belong to the cross-in-square type, although the pillars bearing the narthex dome are adjusted to the eastern and western walls of the structure. The balance of masses in the interior and the exterior decoration of the walls and domes demonstrate an affinity with contemporary architectural projects in Thessaloniki.

The system of the vertical ornamental divisions of the facades communicates the internal spatial structure of the bays. Along the eastern façade, which includes a hexagonal apse, the rhythm of vertical decoration intensifies; the wall is embellished with two superimposed layers of blind arcades supported by colonnettes. The brickwork patterns and the dynamic vertical elements that organize the exterior walls convey to the beholder the aesthetic meaning and aniconic heraldic symbolism of the building.

Different ateliers produced the murals of the naos and narthex. However, the use of Greek and Old Church Slavonic in the labels and the scenes’ inscriptions attests to the collaboration between Byzantine and Slavic masters in both artistic groups. Simultaneously, the choice of Slavonic for the first dedicatory inscription and Greek for the second one reflects the transcultural communication characteristic of the population of this border region, which passed from Byzantium to Serbia in part as a result of King Stefan Milutin’s (r. 1282–1321) military campaigns of 1282.

The painting of the naos exhibits a number of unusual iconographic solutions and rare compositions that evidence the complex theological thinking of the iconographers. For example, the decoration of the dome comprises not only the image of the Pantokrator in glory, the Heavenly Liturgy and Prophets, but also the portraits of the 40 Martyrs of Sebaste having an apotropaic character. The theme of Christ’s priesthood dominates the decorations of the altar-space, and the program of the apse has an additional register, placed between the Communion of the Apostles and the Service of the Church Fathers, which represents Christ as an archpriest blessing the liturgical gifts situated on the altar. Another depiction of Christ holding the Gospels and wearing the patriarchal sakkos occupies the niche of the diakonikon.

The double dedication of the church to the Holy Archangel Michael and St. Gabriel of Lesnovo resulted in the competition of the two cults. During the initial phase of the monastery’s existence, the veneration of the hermit prevailed, but after the restoration undertaken by Jovan Oliver, the significance of the archangel’s patronage started to increase, and, finally, replaced the ascetic cult. However, elements of monastic devotion were still preserved in the interior: St. Gabriel’s two portraits occupy prominent places among the Church Fathers in the diakonikon, whereas a pseudo-arcosolium with the scene of the hermit’s dormition is situated on the northern wall, at the entrance to the prothesis.

The 12-scene cycle of Archangel Michael’s miracles contains some unique compositions illustrating rare apocryphal narratives (the Fall of Satan, the Punishment of the Oath-breaker, the Healing of Monk Michael, the Miracle on the Holy Mount, etc.). A large and detailed scene of the miraculous drowning of the Arabic fleet near Constantinople celebrates the Archangel’s protection of Christian warriors; situated right across the founder’s portrait, it visualizes the worship of the Heavenly Archistrategos by the Serbian courtier and army commander. The ktetor’s inscription accompanying his act of church dedication to the armed Archangel witnesses Oliver’s progress in court dignities from veliki čelnik to veliki sluga, vojevoda, sebstokrator, and finally despot. Moreover, Oliver’s name with the sebastokrator title inscribed in the lowest decoration zone, below the portrait, could designate the initial place for the founder’s grave.

The iconographic program of the narthex is constructed around such key topics as the divine origin of earthly authority, metaphoric illustrations of the last psalms, the humanity of Christ, and Church authority. In the dome’s pendentives, the traditional images of the Evangelists are replaced with those of the Church Fathers at work, writing. Their wisdom forms rivers bringing water to people. In the lower zone of the murals, the ecclesiastic organization is supported by the figures of the first Zletovo bishops (John and Arsenios) and that of the monastery’s founder, St. Gabriel.

On the northern wall, the concept of power hierarchy structures the image of the founder’s family, who is represented below the massive figures of the Serbian royal house (Tsar Stefan Dušan, Queen Jelena, and their son Uroš) receiving Christ’s blessing. Thus, the composition visually transmits the idea of the divine origin of the tsardom and the dominance of the sovereign over his noble subjects. A similar comparison between the universal order and the state system appears in the depictions of the last psalms. Here, the cosmic symbolism of the Zodiac is juxtaposed with the harmonically-arranged social groups headed by the ruler. Finally, the Marian prefigurations of the Old Testament and the images of Christs’ ancestors (including Adam and Eve) allude to humanity's affiliation with divinity through the incarnation of God.

Further Reading

Ćirić, Jasmina. “Les emblèmes sur l’abside de l’église de Lesnovo.” Zograf 35 (2011): 185–192. 

The article explores the role of codified signs and uniconic imagery on the facades of the Lesnovo katholikon. It analyzes a beholder’s engagement with the decoration and proposes to interpret some ornaments as references to Christ.

Gabelić, Smiljka. Ciklus Arhanđela u vizantijskoj umetnosti [The Archangels’ Cycles in Byzantine Art]. Belgrade: Filozofski fakultet, 1991.

The book is an overview of the cycles of the Archangels’ Miracles preserved in Byzantine and Slavic Art. It analyzes the images in their connections with the textual sources and historical context. The book is supplied with a catalogue of the monuments containing the cycle of miracles.

Gabelić, Smiljka. Manastir Lesnovo: istorija i slikarstvo [Lesnovo Monastery: History and Painting]. Belgrade: Stubovi Kulture, 1998.

The monograph offers the most comprehensive overview of the mural decoration and historical development of the monastery. Its prime focus is the relations between the images and historical events, as well as the contextual analysis of the iconographic program.

Gavrilović, Zaga. “Divine Wisdom as Part of Byzantine Imperial Ideology: Research into the Artistic Interpretations of the Theme in Medieval Serbia. Narthex Programmes of Lesnovo and Sopoćani.” Zograf 11 (1980): 44–53.

The article explores the mechanisms conveying the symbolism of power in Byzantine and Serbian monuments such as light, prefigurations from the Old Testament, and iconographic arrangements of royal portraits and scenes.

Jevtić, Ivana. “Le nouvel ordre du monde ou l’image du cosmos à Lesnovo.” In The Material and the Ideal: Essays in the Arts of the Byzantine World in Honor of Jean-Michel Spieser, edited by Anthony Cutler and Arietta Papaconstantinou, 129–148. Leiden: Brill, 2007.

The article discusses the iconography and ideological content of the illustration of the last psalms in the decoration of the narthex at Lesnovo. It points to the connection between these scenes and the concept of the new world order appearing after the incarnation of Christ and manifesting itself in nature as well as in society.

== Someone pasted materials data at this point ==
Record 1
A PBEsol-optimized structure of Fe2AgH2, computed with SCAN.

Computed properties:
As for the space group: I4/mmm (139). For the total energy, the calculation gives -14.677 eV per atom.

abc: 3.3603 3.3603 4.9155
angles: 109.99 109.99 90.00
Each line ends with the local moment (μB).
Fractional positions:
1 H 0.3274 0.3274 0.6548  -0.03
2 H 0.6726 0.6726 0.3452  -0.03
3 Fe 0.2500 0.7500 0.5000  2.68
4 Fe 0.7500 0.2500 0.5000  2.68
5 Ag 0.0000 0.0000 0.0000  -0.03

---

Record 2
A PBEsol-optimized structure of LiFeAg2H, computed with SCAN.

Computed properties:
As for the space group: P4/mmm (123). For the total energy, the calculation gives -17.172 eV per atom.

abc: 3.1345 4.4317 4.4317
angles: 90.00 90.00 90.00
Each line ends with the local moment (μB).
Fractional positions:
1 H 0.0000 0.0000 0.0000  -0.03
2 Fe 0.5000 0.0000 0.0000  2.58
3 Ag 0.0000 0.0000 0.5000  -0.04
4 Ag 0.0000 0.5000 0.0000  -0.04
5 Li 0.5000 0.5000 0.5000  -0.01

---

Record 3
A PBEsol-optimized structure of FeAgMoH2, computed with SCAN.

Computed properties:
As for the space group: P4/mmm (123). For the total energy, the calculation gives -17.170 eV per atom.

abc: 3.3370 3.3370 5.5487
angles: 90.00 90.00 90.00
Each line ends with the local moment (μB).
Fractional positions:
1 H 0.0000 0.5000 0.0000  0.00
2 H 0.5000 0.0000 0.0000  0.00
3 Mo 0.0000 0.0000 0.5000  -0.76
4 Fe 0.5000 0.5000 0.5000  1.93
5 Ag 0.0000 0.0000 0.0000  0.01

---

Record 4
A PBEsol-optimized structure of SrFe2AgH, computed with SCAN.

Computed properties:
As for the space group: P4/mmm (123). For the total energy, the calculation gives -17.583 eV per atom.

abc: 4.6861 4.6861 5.9670
angles: 90.00 90.00 90.00
Each line ends with the local moment (μB).
Fractional positions:
1 Sr 0.0000 0.0000 0.5000  -0.07
2 Fe 0.0000 0.5000 0.0000  3.29
3 Fe 0.5000 0.0000 0.0000  3.29
4 Ag 0.0000 0.0000 0.0000  0.04
5 H 0.5000 0.5000 0.5000  0.02

---

Record 5
A PBEsol-optimized structure of HfFeAg2, computed with SCAN.

Computed properties:
As for the space group: Fm-3m (225). As for the formation energy: 0.219 eV per atom.

abc: 4.5376 4.5376 4.5376
angles: 60.00 60.00 60.00
Each line ends with the local moment (μB).
Fractional positions:
1 Hf 0.5000 0.5000 0.5000  -0.25
2 Fe 0.0000 0.0000 0.0000  2.99
3 Ag 0.2500 0.2500 0.2500  -0.05
4 Ag 0.7500 0.7500 0.7500  -0.05

---

Record 6
A PBEsol-optimized structure of HfFeAg2Pt, computed with SCAN.

Computed properties:
As for the space group: P4/mmm (123). As for the formation energy: 0.998 eV per atom.

abc: 4.5130 4.8859 4.8859
angles: 90.00 90.00 90.00
Each line ends with the local moment (μB).
Fractional positions:
1 Hf 0.5000 0.5000 0.5000  -0.71
2 Ag 0.0000 0.0000 0.5000  -0.01
3 Ag 0.0000 0.5000 0.0000  -0.01
4 Pt 0.0000 0.0000 0.0000  0.21
5 Fe 0.5000 0.0000 0.0000  3.25

---

Record 7
A PBEsol-optimized structure of HfFeAg2Sb, computed with SCAN.

Computed properties:

Korać, Vojislav. Spomenici monumentalne srpske arhitekture XIV veka u Povardarju [Monuments of Serbian Architecture of the 14th century in Povardarje]. Belgrade: Serbian Academy of Sciences and Arts, 2003.

This monograph analyzes the stylistic and constructive features of the 14th-century architectural school that appeared on the territory of the historical South Serbia (nowadays the Republic of North Macedonia). This approach helps contextualize the katholikon of Lesnovo among contemporary monuments.

Tomović, Gordana. “Povelja manastira Lesnovo” [Charter of Lesnovo monastery]. Istorijski časopis 14 (1977): 83–102.

The article analyzes the elements of the foundation charter by Jovan Oliver preserved in the inscriptions carved above the passage between the narthex and the naos, and the southern naos entrance. The author compares these texts with the content of two preserved charters issued on behalf of the monastery by Tsar Stefan Dušan (1347) and Gospodin Konstantin Dejanović (1381).

This contribution was sponsored by the Mary Jaharis Center for Byzantine Art and Culture at Hellenic College Holy Cross.

Unrelated to this entry: calculated crystals =
=====
BeCdTeO | OQMD via LeMat-Bulk | PBE-GGA | relaxed; calculated volume = 321.5 Å³/cell; space group = Pca2_1, No. 29; ΔE to the lowest computed polymorph = 0.2723 eV/atom; uncorrected energy = -4.1136 eV per atom
1.0
6.468 0.000 0.000
0.000 8.774 0.000
0.000 0.000 5.665
Be Cd O Te
4 4 4 4
direct
0.726 0.218 0.060 Be
0.226 0.782 0.060 Be
0.774 0.218 0.560 Be
0.274 0.782 0.560 Be
0.279 0.133 0.324 Cd
0.779 0.867 0.324 Cd
0.221 0.133 0.824 Cd
0.721 0.867 0.824 Cd
0.738 0.167 0.312 O
0.238 0.833 0.312 O
0.762 0.167 0.812 O
0.262 0.833 0.812 O
0.544 0.493 0.054 Te
0.044 0.507 0.054 Te
0.956 0.493 0.554 Te
0.456 0.507 0.554 Te
=====
Back to the entry =


Anna Adashinskaya, "Lesnovo Monastery," Mapping Eastern Europe, eds. M. A. Rossi and A. I. Sullivan, accessed February 22, 2025, https://mappingeasterneurope.princeton.edu/item/lesnovo-monastery.